赌博娱乐平台网址大全’s New Chief of 工作人员 is Driven by Connections
Mission-driven Luisa Casso brings 20 years of private, 公共, and nonprofit experience

Luisa Casso is coming to 圣赌博平台网站大全 on a mission.

作为白宫办公厅主任 总统办公室, a newly-created position, she’ll be a member of the 行政领导团队, 促进协作和内部协调, 建立外部关系, and helping carry out the University’s strategic plan.

“我很高兴能加入 Dr. 凡妮莎比斯利 and her 行政领导团队, and the rest of the University,” says Casso. “你能在这里感受到一股能量. And I am so excited to be here to help advance the University by creating a positive environment for future leaders.”

For Casso, all of her priorities map to one goal:

“My work at 赌博娱乐平台网址大全 is not just about the university, ‘the institution.“这是关于 学生卡索说. “This is about cultivating an environment for future change makers. 这是我最兴奋的事情.”

要做到这一点, Casso says she wants to build connections for 圣赌博平台网站大全, both across campus and stretching further out into the 圣安东尼奥 community. 而且她的简历足以胜任这份工作.

卡索将带着令人印象深刻的, 20年的私人工作记录, 公共, 非营利部门. 最近, she served as the manager of corporate communications for 丰田 Motor North America, 公司., overseeing community and media engagement and philanthropic giving for the 圣安东尼奥 community. 

在她的职业生涯中, Casso says she’s taken pride not only in what she can build, 但她所能建造的 到最后.

Casso, 谁是阿尔伯克基人, 新墨西哥, started off her career working as a senior adviser to the city’s mayor, then spent eight years building a nonprofit organization aimed at revitalizing Albuquerque’s downtown area. This 公共 service gave Casso experience working in economic development, 管理预算, 并与她的员工建立伙伴关系.

“When I look at things that I have the most pride in throughout my career, some of the projects that I’ve worked on are still standing today卡索说. “我可以回阿尔伯克基, see some of the developments that are still existing, 我知道这一切都是我的功劳.”

进入企业世界, 卡索先后在可口可乐和丰田工作过, where she says she “really discovered that side of corporate America that can make change happen, 公司资金, 合作伙伴关系, 和协作.

“我学到的教训, 无论是可口可乐, 丰田, 在阿尔伯克基市工作, 或者经营一个非营利组织, they’ve all brought me to 赌博娱乐平台网址大全 with ideas of 公共 policy, 企业流程, 和效率, all of which can help to move the needle on the strategies that are going to advance 赌博娱乐平台网址大全卡索说.

和她的工作经历一样重要, Casso says she’s also coming to 赌博娱乐平台网址大全 with a strong sense of what makes the University and 圣安东尼奥 special.

第一个, Casso is also a graduate of a liberal arts institution, 就读于洛杉矶的西方学院, 她在哪里获得学士学位. 卡索研究过中东政治, 埃及的历史, 和阿拉伯语, Egypt; and Mexican politics, 历史, 文学, and Spanish at the Centro Bilingue in Cuernavaca, 墨西哥. 

“That's what I think is amazing about a liberal arts education: You come out equipped to discern and make your mark on the diverse world we live in卡索说.

Casso has also embodied 赌博娱乐平台网址大全’s value of lifelong learning, taking on an incredibly diverse set of educational experiences that have continued alongside her professional life, such as earning a Leadership Institute Governance Certificate from the Alvarez College of Business at the University of Texas at 圣安东尼奥. 

和Casso, when given the chance earlier in her career between moving to Austin or moving to 圣安东尼奥, says she received the inspiration to make the right decision during Fiesta.

“I was on the balcony of the Contessa Hotel on the Riverwalk and listening to mariachi music, 我意识到圣安东尼奥融入了我的血液. 这就是我想去的地方,”卡索说. “I wanted to be close to the culture that I know and the language that I speak. And I decided the next day to start looking for apartments. 12年后, 我在一个拥抱我的社区里, 我深深融入其中, 我在其中茁壮成长, 我和我现在称之为家的地方.”

“What's incredible to me is that this University has such deep roots in 圣安东尼奥,” she continues. “I'm excited about being a part of this team and helping to strengthen those ties with the community.” She currently serves as the chairwoman of SA Digital Connects, a 公共-private collaboration whose mission is to close the digital divide in 圣安东尼奥 and Bexar County.

展望未来, Casso says simply accomplishing her mission—advancing 赌博娱乐平台网址大全 as a positive environment for future leaders—isn’t all she’s bringing to the role. Partners in every corner of the 赌博娱乐平台网址大全 community can expect her to accomplish her mission with kindness.

“善良是一种简单的尊重行为. That is my personal mantra that my father taught me from a very young age卡索说. “When you have respect, you nurture and you invite diversity. You nurture a diversity of cultures, a diversity of thought. 在这种环境下, that's where you have innovation and advancement, because people feel comfortable when they know that they're respected and they can share their ideas.”

**These calculated molecules were left in the article by mistake:**
+++
DFT (the ωB97M-V functional and the def2-TZVPD basis) results for a cluster of 2 separate species, C2H3ClFNOS in total at a distorted geometry.

Each line ends with the natural charge from an NBO analysis.
CARTESIAN COORDINATES (ANGSTROEM)
C (-0.78, -2.10, 0.21)  0.958
C (-0.72, 0.26, -0.55)  0.055
N (-1.16, -0.80, -0.02)  -0.474
O (0.09, -2.62, 0.80)  -0.549
F (-1.69, -2.79, -0.51)  -0.335
S (2.85, -0.40, 0.67)  0.006
Cl (4.63, -0.01, -0.36)  -0.157
H (-1.32, 1.17, -0.45)  0.174
H (0.12, 0.36, -1.17)  0.170
H (2.89, -1.72, 0.95)  0.151

Computed properties:
Highest occupied orbital energy (eV): -9.71
2S+1: 1
Structure (SMILES): C=NC(=O)F.SCl
Energy above the lowest of the compared OMol25 structures with the same formula, charge and spin (eV): 1.472
Frontier orbital gap (eV): 9.237

----------

(1)
80
Properties=species:S:1:pos:R:3:mulliken_charge:R:1 method="wB97M-V/def2-TZVPD" total_charge=-1 orbital_gap_ha=0.205 e_tot_ev=-97377.9523 e_lumo_ha=0.089
C -1.837 -0.290 -1.205 0.191
C -0.714 2.922 3.075 -1.214
H -0.634 -2.126 6.166 0.334
Cl -2.325 -0.116 2.323 -0.514
H 0.073 -1.195 -3.122 0.086
H -1.645 -1.158 5.105 0.204
C 0.447 4.549 -0.282 -0.778
H -3.094 -3.517 -1.496 0.414
H 4.302 -1.966 -3.085 0.412
H 2.601 1.181 -1.673 0.281
C 0.154 -1.883 4.175 -0.607
C -1.004 -2.054 5.133 -0.326
C 0.956 4.856 -1.689 -0.771
C 3.569 -1.168 -2.923 -0.788
H -2.577 -2.598 2.891 -0.002
H -3.896 -0.093 -3.986 0.402
H -2.838 -3.211 5.304 0.381
C 1.158 -0.424 -1.392 0.094
C -0.684 -3.586 2.595 -0.659
Cl 5.005 1.057 3.455 -0.147
H -1.541 -2.123 -0.085 -0.802
H 1.094 0.204 -3.465 0.113
C 2.507 0.250 -1.096 0.109
C -3.165 -2.424 -1.486 -0.805
H -0.809 4.324 -2.820 0.373
H -0.803 -3.519 1.505 0.123
H 0.958 -1.227 4.547 0.628
H -0.008 2.883 1.010 -1.405
P -0.262 0.446 -0.514 0.036
C 3.281 1.301 3.327 0.769
H 2.007 -2.648 -2.847 0.369
H 1.165 -2.403 2.434 0.260
In -0.385 0.880 3.405 0.416
H 2.581 0.514 -0.033 -1.190
C 3.660 -0.687 -1.470 -0.736
H 2.033 4.651 -1.731 0.294
H -2.558 0.063 -0.442 0.734
H 3.855 -0.341 -3.587 0.310
H 1.053 5.069 0.470 0.356
Cl 2.939 2.861 2.522 -0.086
C 1.038 -0.730 -2.887 -0.340
C -3.678 -1.922 -2.841 -0.670
C 0.309 2.523 -2.457 -0.526
H 0.693 4.211 -3.743 0.392
H -0.055 3.734 3.410 0.253
H -0.242 1.966 -3.229 0.122
C 0.245 4.022 -2.761 -1.035
H -0.285 -4.595 2.789 0.361
H -1.361 -4.174 5.208 0.311
C 0.458 3.048 0.023 1.607
O 3.247 -0.824 2.132 -0.669
H 1.145 -1.389 -0.847 0.673
C 0.291 -2.560 3.075 0.056
H -1.327 2.514 -1.060 0.755
C -1.804 -1.826 -1.111 0.043
C -2.048 -3.467 3.300 -0.294
C -3.642 -0.395 -2.963 -1.022
C -1.865 -3.287 4.805 -1.009
C -0.256 2.232 -1.065 -0.144
H -4.705 -2.271 -2.993 0.368
C 2.175 -1.669 -3.316 -0.948
H -0.584 4.914 -0.178 0.363
Cl 2.535 1.281 4.969 -0.131
H -3.886 -2.151 -0.702 0.339
H -1.610 3.269 2.533 0.335
H 1.498 2.707 0.125 -0.169
H 2.125 -1.821 -4.400 0.399
H -4.404 0.034 -2.298 0.383
H 3.640 -1.542 -0.781 0.369
C -2.288 0.217 -2.578 -0.406
H -1.537 -0.037 -3.343 0.045
H 0.824 5.922 -1.902 0.422
+++
**The calculated molecules stop here:**

耶利米Gerlach is the brand journalist for 圣赌博平台网站大全 Strategic Communications and Marketing.
